_What to do_
Echo the calculation results further below without additions.

_Data_
-- begin --
1.
The following is a DFT calculation (wB97M-V/def2-TZVPD) of 2 unconnected molecules or ions with the total composition C2H6INO3 in a non-equilibrium geometry.

```
! wB97M-V def2-TZVPD RIJCOSX def2/J DEFGRID3
* xyz 0 1
C -1.11 0.79 -0.14
C 1.33 -1.87 0.72
N 1.07 -0.04 -0.43
O 0.07 0.78 -0.94
O 0.56 -0.97 0.31
O 1.59 3.22 -1.64
I 2.89 2.80 -0.24
H -0.89 1.11 0.91
H -1.69 -0.04 -0.37
H -1.70 1.60 -0.36
H 0.74 -2.53 1.39
H 0.82 2.63 -1.71
H 2.46 -1.86 0.38
*
```

The total energy comes out at -657.689469 Eh. The value obtained for the orbital gap is 7.63 eV. For the HOMO energy, the calculation gives -7.780 eV. The value obtained for the strongest force on any atom is 0.0641 hartree/bohr. Its LUMO energy is -0.15 eV. Its energy relative to the best compared isomer or geometry (same formula, charge and spin) is 1.365 eV.


2.
The following is a DFT calculation (wB97M-V/def2-TZVPD) of 2 unconnected molecules or ions with the total composition C2H6IOP in a non-equilibrium geometry.

```
! wB97M-V def2-TZVPD RIJCOSX def2/J DEFGRID3
* xyz 0 1
C -1.15 1.11 -0.25
C -1.67 0.21 0.53
O 1.03 -1.60 0.14
P 1.55 -0.26 -0.68
I 3.63 0.25 0.60
H 0.14 -1.52 0.55
H -1.75 1.56 -1.07
H -0.23 1.70 -0.07
H -2.73 -0.02 0.35
H -1.27 -0.27 1.40
H 2.46 -1.16 -1.49
*
```

The total energy comes out at -794.053983 Eh. The value obtained for the orbital gap is 9.15 eV. For the HOMO energy, the calculation gives -8.990 eV. The value obtained for the strongest force on any atom is 0.0639 hartree/bohr. Its LUMO energy is 0.16 eV. The structure (SMILES) is C=C.OPI. Its energy relative to the best compared isomer or geometry (same formula, charge and spin) is 1.851 eV.


3.
The following is a DFT calculation (wB97M-V/def2-TZVPD) of a gas-phase ion, C2H6IOS (charge +1) in a non-equilibrium geometry.

```
! wB97M-V def2-TZVPD RIJCOSX def2/J DEFGRID3
* xyz 1 1
C -0.17 -1.69 -0.22
C 0.35 1.30 0.12
O 1.66 1.24 0.06
S -0.78 -0.41 0.93
I -2.85 0.02 -0.09
H -0.76 -2.57 0.00
H 1.02 -1.78 -0.01
H -0.15 -1.24 -1.29
H -0.27 1.16 -0.82
H 2.16 1.84 0.74
H -0.18 2.15 0.58
*
```

The total energy comes out at -850.598091 Eh. The value obtained for the orbital gap is 9.07 eV. For the HOMO energy, the calculation gives -14.337 eV. The value obtained for the strongest force on any atom is 0.0748 hartree/bohr. Its LUMO energy is -5.27 eV. Its energy relative to the best compared isomer or geometry (same formula, charge and spin) is 0.000 eV.


4.
The following is a DFT calculation (wB97M-V/def2-TZVPD) of a gas-phase ion, C2H6N (charge +1) in a non-equilibrium geometry.

```
! wB97M-V def2-TZVPD RIJCOSX def2/J DEFGRID3
* xyz 1 3
C 0.45 0.75 0.06
C 0.41 -0.72 0.02
N -0.82 0.03 -0.01
H 0.68 1.43 0.83
H 0.70 1.37 -0.82
H 0.82 -1.21 -0.85
H 0.77 -1.31 0.89
H -1.57 -0.18 0.68
H -1.44 -0.17 -0.79
*
```

The total energy comes out at -133.877298 Eh. The value obtained for the orbital gap (alpha / beta) is 5.84 / 7.51 eV. For the HOMO energy (alpha / beta), the calculation gives -9.407 / -19.330 eV. The value obtained for the strongest force on any atom is 0.2613 hartree/bohr. Its LUMO energy (alpha / beta) is -3.57 / -11.82 eV. The expectation value of S² is 2.005. Its energy relative to the best compared isomer or geometry (same formula, charge and spin) is 2.623 eV.


5.
The following is a DFT calculation (wB97M-V/def2-TZVPD) of a single C2H6N2 molecule in a non-equilibrium geometry.

```
! wB97M-V def2-TZVPD RIJCOSX def2/J DEFGRID3
* xyz 0 1
C 0.36 1.06 1.17
C -0.77 -1.29 -1.29
H 1.33 1.55 1.15
H 0.18 0.61 2.14
H -0.43 1.77 1.02
H 1.27 -0.22 -0.32
H 0.16 -1.33 -1.97
H -1.67 -1.78 -1.63
N 0.34 0.14 0.01
N -0.77 -0.53 -0.28
*
```
-- stop --

_Completed_
1.
The following is a DFT calculation (wB97M-V/def2-TZVPD) of 2 unconnected molecules or ions with the total composition C2H6INO3 in a non-equilibrium geometry.

```
! wB97M-V def2-TZVPD RIJCOSX def2/J DEFGRID3
* xyz 0 1
C -1.11 0.79 -0.14
C 1.33 -1.87 0.72
N 1.07 -0.04 -0.43
O 0.07 0.78 -0.94
O 0.56 -0.97 0.31
O 1.59 3.22 -1.64
I 2.89 2.80 -0.24
H -0.89 1.11 0.91
H -1.69 -0.04 -0.37
H -1.70 1.60 -0.36
H 0.74 -2.53 1.39
H 0.82 2.63 -1.71
H 2.46 -1.86 0.38
*
```

The total energy comes out at -657.689469 Eh. The value obtained for the orbital gap is 7.63 eV. For the HOMO energy, the calculation gives -7.780 eV. The value obtained for the strongest force on any atom is 0.0641 hartree/bohr. Its LUMO energy is -0.15 eV. Its energy relative to the best compared isomer or geometry (same formula, charge and spin) is 1.365 eV.


2.
The following is a DFT calculation (wB97M-V/def2-TZVPD) of 2 unconnected molecules or ions with the total composition C2H6IOP in a non-equilibrium geometry.

```
! wB97M-V def2-TZVPD RIJCOSX def2/J DEFGRID3
* xyz 0 1
C -1.15 1.11 -0.25
C -1.67 0.21 0.53
O 1.03 -1.60 0.14
P 1.55 -0.26 -0.68
I 3.63 0.25 0.60
H 0.14 -1.52 0.55
H -1.75 1.56 -1.07
H -0.23 1.70 -0.07
H -2.73 -0.02 0.35
H -1.27 -0.27 1.40
H 2.46 -1.16 -1.49
*
```

The total energy comes out at -794.053983 Eh. The value obtained for the orbital gap is 9.15 eV. For the HOMO energy, the calculation gives -8.990 eV. The value obtained for the strongest force on any atom is 0.0639 hartree/bohr. Its LUMO energy is 0.16 eV. The structure (SMILES) is C=C.OPI. Its energy relative to the best compared isomer or geometry (same formula, charge and spin) is 1.851 eV.


3.
The following is a DFT calculation (wB97M-V/def2-TZVPD) of a gas-phase ion, C2H6IOS (charge +1) in a non-equilibrium geometry.

```
! wB97M-V def2-TZVPD RIJCOSX def2/J DEFGRID3
* xyz 1 1
C -0.17 -1.69 -0.22
C 0.35 1.30 0.12
O 1.66 1.24 0.06
S -0.78 -0.41 0.93
I -2.85 0.02 -0.09
H -0.76 -2.57 0.00
H 1.02 -1.78 -0.01
H -0.15 -1.24 -1.29
H -0.27 1.16 -0.82
H 2.16 1.84 0.74
H -0.18 2.15 0.58
*
```

The total energy comes out at -850.598091 Eh. The value obtained for the orbital gap is 9.07 eV. For the HOMO energy, the calculation gives -14.337 eV. The value obtained for the strongest force on any atom is 0.0748 hartree/bohr. Its LUMO energy is -5.27 eV. Its energy relative to the best compared isomer or geometry (same formula, charge and spin) is 0.000 eV.


4.
The following is a DFT calculation (wB97M-V/def2-TZVPD) of a gas-phase ion, C2H6N (charge +1) in a non-equilibrium geometry.

```
! wB97M-V def2-TZVPD RIJCOSX def2/J DEFGRID3
* xyz 1 3
C 0.45 0.75 0.06
C 0.41 -0.72 0.02
N -0.82 0.03 -0.01
H 0.68 1.43 0.83
H 0.70 1.37 -0.82
H 0.82 -1.21 -0.85
H 0.77 -1.31 0.89
H -1.57 -0.18 0.68
H -1.44 -0.17 -0.79
*
```

The total energy comes out at -133.877298 Eh. The value obtained for the orbital gap (alpha / beta) is 5.84 / 7.51 eV. For the HOMO energy (alpha / beta), the calculation gives -9.407 / -19.330 eV. The value obtained for the strongest force on any atom is 0.2613 hartree/bohr. Its LUMO energy (alpha / beta) is -3.57 / -11.82 eV. The expectation value of S² is 2.005. Its energy relative to the best compared isomer or geometry (same formula, charge and spin) is 2.623 eV.


5.
The following is a DFT calculation (wB97M-V/def2-TZVPD) of a single C2H6N2 molecule in a non-equilibrium geometry.

```
! wB97M-V def2-TZVPD RIJCOSX def2/J DEFGRID3
* xyz 0 1
C 0.36 1.06 1.17
C -0.77 -1.29 -1.29
H 1.33 1.55 1.15
H 0.18 0.61 2.14
H -0.43 1.77 1.02
H 1.27 -0.22 -0.32
H 0.16 -1.33 -1.97
H -1.67 -1.78 -1.63
N 0.34 0.14 0.01
N -0.77 -0.53 -0.28
*
```